Friday 12 September 2014

Why Kp is a poor indicator for auroral alerts

What is Kp?

Kp is a an index to represent the planetary geomagnetic activity. The name originates from "planetarische Kennziffer" (German for planetary index). It has 10 main levels, numbered from 0 (no geomagnetic activity) to 9 (extreme geomagnetic activity). The intermediate ranges are subdivided with a + or - suffix, making 28 levels in total (0, 0+, 1-, 1, 1+, 2-, 2, 2+, ... 8, 8+, 9-, 9).

The Kp index is calculated for three-hourly intervals, beginning at UT midnight. To calculate Kp the daily "solar-quiet" (Sq) variation is removed from the measurements of magnetic field strength. Then the difference between the largest and smallest values is computed. By looking up the difference in a conversion table the local K index can be found. Stations at different latitudes (or more properly magnetic latitudes) have different conversion tables.

There is a pronounced daily variation in the K index at a single station, with intervals close to local midnight being substantially more disturbed in comparison with those centered on local noon; see For this reason the planetary Kp index is computed from magnetic variations recorded by 13 magnetometers located around the world.

Why Kp is a poor indicator for auroral alerts

The Kp index only indicates geomagnetic activity within a 3 hour interval, which is too long to be useful for auroral alerts. Geomagnetic conditions can have recovered to a calm state long before the next Kp index is computed. This is particularly true for aurora caused by a substorm, as the entire substorm cycle (including the growth, expansion and recovery phases) is typically 2 to 4 hours duration; see

It must also be noted that the official Kp values are not available in real-time. Not only must the data from the 13 stations be collected the quiet-day curves for each of the magnetometers must be calculated for that calendar month, a process which cannot begin until the month ends. Therefore any references to Kp for the current month will be to unofficial estimates. The most reliable estimate of Kp is probably obtained from NOAA, which is derived from a worldwide distribution of magnetometers, see

In summary: Kp is not available in real-time. The 3 hour interval means current auroral activity may be much lower than an estimated Kp value suggests.

Estimated Kp can differ significantly from the local K index

As noted above, the pronounced daily variation of the K index means that there can be considerable difference between the average planetary geomagnetic activity (Kp) and that observed locally (K). The plot below shows the difference between the local K index measured by the British Geological Survey magnetometer at Eskdalemuir and Kp.

Difference between Eskdalemuir local K index and Kp
Difference between K index measured at Eskdalemuir and Kp.

The article is interrupted by materials data:
┌──
No. 1
Entry from Materials Project: NaCa2Al2As2O11F4 after structural relaxation (PBE).

Cell lengths 5.6203, 10.9280, 9.7065 Å; angles 90.00, 105.09, 90.00 degrees
Positions (direct):
Na1 0.0016 0.2500 0.3291
Na2 0.9984 0.7500 0.6709
Ca1 0.3926 0.0862 0.1416
Ca2 0.3926 0.4138 0.1416
Ca3 0.6074 0.5862 0.8584
Ca4 0.6074 0.9138 0.8584
Al1 0.0155 0.0906 0.7372
Al2 0.0155 0.4094 0.7372
Al3 0.9845 0.5906 0.2628
Al4 0.9845 0.9094 0.2628
As1 0.1769 0.7500 0.0396
As2 0.3750 0.7500 0.4973
As3 0.6250 0.2500 0.5027
As4 0.8231 0.2500 0.9604
O1 0.1140 0.2500 0.0727
O2 0.1333 0.2500 0.7756
O3 0.1980 0.6227 0.4424
O4 0.1980 0.8773 0.4424
O5 0.2045 0.6201 0.1468
O6 0.2045 0.8799 0.1468
O7 0.2967 0.0687 0.6551
O8 0.2967 0.4313 0.6551
O9 0.3407 0.2500 0.5482
O10 0.3852 0.7500 0.9419
O11 0.4531 0.7500 0.6798
O12 0.5469 0.2500 0.3202
O13 0.6148 0.2500 0.0581
O14 0.6593 0.7500 0.4518
O15 0.7033 0.5687 0.3449
O16 0.7033 0.9313 0.3449
O17 0.7955 0.1201 0.8532
O18 0.7955 0.3799 0.8532
O19 0.8020 0.1227 0.5576
O20 0.8020 0.3773 0.5576
O21 0.8667 0.7500 0.2244
O22 0.8860 0.7500 0.9273
F1 0.0978 0.0639 0.2808
F2 0.0978 0.4361 0.2808
F3 0.2699 0.0313 0.8954
F4 0.2699 0.4687 0.8954
F5 0.7301 0.5313 0.1046
F6 0.7301 0.9687 0.1046
F7 0.9022 0.5639 0.7192
F8 0.9022 0.9361 0.7192

Values from the calculation:
* crystal system: monoclinic
* ΔE_f: -234 kJ/mol of atoms
* symmetry: P2_1/m (11)

***

No. 2
Entry from Materials Project: Na3Ca3AlAs4 after structural relaxation (PBE).

Cell lengths 9.4751, 9.4751, 7.2328 Å; angles 90.00, 90.00, 120.00 degrees
Positions (direct):
Na1 0.1374 0.2748 0.0000
Na2 0.1374 0.8626 0.0000
Na3 0.2748 0.1374 0.5000
Na4 0.7252 0.8626 0.0000
Na5 0.8626 0.1374 0.5000
Na6 0.8626 0.7252 0.5000
Ca1 0.0506 0.5253 0.3277
Ca2 0.4747 0.5253 0.3277
Ca3 0.4747 0.9494 0.3277
Ca4 0.5253 0.0506 0.8277
Ca5 0.5253 0.4747 0.8277
Ca6 0.9494 0.4747 0.8277
Al1 0.3333 0.6667 0.7054
Al2 0.6667 0.3333 0.2054
As1 0.1902 0.3804 0.5984
As2 0.1902 0.8098 0.5984
As3 0.3333 0.6667 0.0556
As4 0.3804 0.1902 0.0984
As5 0.6196 0.8098 0.5984
As6 0.6667 0.3333 0.5556
As7 0.8098 0.1902 0.0984
As8 0.8098 0.6196 0.0984

Values from the calculation:
* crystal system: hexagonal
* ΔE_f: -83 kJ/mol of atoms
* piezoelectric modulus e_max: 0.6 C/m²
* symmetry: P6_3mc (186)

***

No. 3
Entry from Materials Project: AlAs3S5Cl4 after structural relaxation (PBE).

Cell lengths 6.6279, 10.1933, 11.9537 Å; angles 90.00, 104.24, 90.00 degrees
Positions (direct):
Al1 0.0191 0.2500 0.2199
Al2 0.9809 0.7500 0.7801
As1 0.4482 0.5822 0.1696
As2 0.4482 0.9178 0.1696
As3 0.4730 0.7500 0.4481
As4 0.5270 0.2500 0.5519
As5 0.5518 0.0822 0.8304
As6 0.5518 0.4178 0.8304
S1 0.1326 0.7500 0.3325
S2 0.1839 0.7500 0.1747
S3 0.3825 0.2500 0.8951
S4 0.4269 0.0709 0.6376
S5 0.4269 0.4291 0.6376
S6 0.5731 0.5709 0.3624
S7 0.5731 0.9291 0.3624
S8 0.6175 0.7500 0.1049
S9 0.8161 0.2500 0.8253
S10 0.8674 0.2500 0.6675
Cl1 0.0170 0.7500 0.6061
Cl2 0.1205 0.5755 0.8720
Cl3 0.1205 0.9245 0.8720
Cl4 0.3453 0.2500 0.2219
└──

The plot shows that in general there is good agreement but at certain times the K index can be higher or lower than Kp.

In summary: global measurements of Kp are not always valid indications of  regional geomagnetic activity.

What measurements should be used?

One of the better measurements is using the K index as long as it is from a nearby magnetometer or one on a similar geomagnetic longitude. It is still limited by the 3 hour resolution of the K index so it will not always be accurate for real-time measurements.

An alternative measurement is to consider the rate of change of the magnetic field, commonly referred to by its mathematical notation dB/dt ("D B by D T"). This measurement is of particular interest to operators of pipelines and long power distribution networks since it indicates the levels of geomagnetically-induced currents which might be expected. British Geological Survey publish real-time dB/dt measurements. These measurements require magnetically quiet sites as human interference is likely to cause sudden spikes with a high dB/dt value, limiting its usefulness to observatory measurements.

AuroraWatch UK publishes a real-time auroral activity measurement. It is the H component deviation, which is the difference between the current H component magnetic field strength and the expected value for the time of day taken from the "quiet-day curve". Unlike Kp this measurement is computed hourly and so can indicate a return to low activity values sooner than Kp. An accurately fitted quiet day curve is required to make the deviation measurement.

Data credits

Eskdalemuir K indices were downloaded from the British Geological Survey Kp data was downloaded from GFZ-Potsdam